Tuesday, June 26, 2012

Meat Matters, more than just in your belly!

Some of us do not like to think, or don't think, about all of the agents involved in our food system. But its important to do that, and once you know, you can change. Thinking about how increased meat consumption effects your body but also your environment is important, it will help you make healthier choices that go beyond you and effect other people, the environment, and even animals in the world.

== Next to the page, the page also holds data records ==
........
# 1
For Ba3NdIr2O9, a DFT-relaxed cell (GGA-PBE, the Materials Project) gives the theoretical powder diffraction line list in this record (copper Kα).
Kinematic intensities with the Lorentz-polarization factor, no thermal factor.

Atomic structure:
Lattice parameters (Å, degrees): 5.9907 5.9907 15.0515 90.80 90.80 119.85
Sites, in units of the cell vectors:
1 Ba 0.0033 0.9967 0.7500
2 Ba 0.3278 0.6591 0.4005
3 Ba 0.3409 0.6722 0.0995
4 Ba 0.6591 0.3278 0.9005
5 Ba 0.6722 0.3409 0.5995
6 Ba 0.9967 0.0033 0.2500
7 Nd 0.0000 0.0000 0.0000
8 Nd 0.0000 0.0000 0.5000
9 Ir 0.3194 0.6526 0.8337
10 Ir 0.3474 0.6806 0.6663
11 Ir 0.6526 0.3194 0.3337
12 Ir 0.6806 0.3474 0.1663
13 O 0.0207 0.5077 0.7407
14 O 0.1482 0.3291 0.9002
15 O 0.1478 0.7959 0.9073
16 O 0.2041 0.8522 0.5927
17 O 0.2058 0.3900 0.5789
18 O 0.3291 0.1482 0.4002
19 O 0.3900 0.2058 0.0789
20 O 0.4917 0.5083 0.7500
21 O 0.4923 0.9793 0.7593
22 O 0.5077 0.0207 0.2407
23 O 0.5083 0.4917 0.2500
24 O 0.6100 0.7942 0.9211
25 O 0.6709 0.8518 0.5998
26 O 0.7942 0.6100 0.4211
27 O 0.7959 0.1478 0.4073
28 O 0.8522 0.2041 0.0927
29 O 0.8518 0.6709 0.0998
30 O 0.9793 0.4923 0.2593

Principal peaks in the range 10 to 80 degrees two-theta, sorted by position:
two_theta  d/Å  Rel. int.
18.2  4.874  10
29.0  3.082  21
29.3  3.044  19
29.7  3.012  17
29.8  2.997  100
41.8  2.162  11
42.3  2.134  11
52.9  1.731  17
53.0  1.728  10
62.0  1.498  11

# 2
For Ba4NdIr3O12, a DFT-relaxed cell (GGA-PBE, the Materials Project) gives the theoretical powder diffraction line list in this record (copper Kα).
Kinematic intensities with the Lorentz-polarization factor, no thermal factor.

Atomic structure:
Lattice parameters (Å, degrees): 6.0050 6.0050 10.7897 108.79 108.79 59.94
Sites, in units of the cell vectors:
1 Ba 0.1287 0.1287 0.3874
2 Ba 0.2764 0.2764 0.8517
3 Ba 0.7236 0.7236 0.1483
4 Ba 0.8713 0.8713 0.6126
5 Nd 0.0000 0.0000 0.0000
6 Ir 0.4285 0.4285 0.2454
7 Ir 0.5000 0.5000 0.5000
8 Ir 0.5715 0.5715 0.7546
9 O 0.1504 0.6182 0.3665
10 O 0.2385 0.2385 0.1119
11 O 0.2457 0.7171 0.1466
12 O 0.2829 0.7543 0.8534
13 O 0.3750 0.3750 0.6079
14 O 0.3818 0.8496 0.6335
15 O 0.6182 0.1504 0.3665
16 O 0.6250 0.6250 0.3921
17 O 0.7171 0.2457 0.1466
18 O 0.7543 0.2829 0.8534
19 O 0.7615 0.7615 0.8881
20 O 0.8496 0.3818 0.6335

Principal peaks in the range 10 to 80 degrees two-theta, sorted by position:
two_theta  d/Å  Rel. int.
17.4  5.096  14
17.9  4.952  12
26.2  3.401  15
27.3  3.266  31
29.8  2.999  100
34.9  2.571  11
40.1  2.250  16
45.3  2.003  10
52.9  1.732  20
61.9  1.500  18

# 3
For Ba3SrNd2Ir2O12, a DFT-relaxed cell (GGA-PBE, the Materials Project) gives the theoretical powder diffraction line list in this record (copper Kα).
Kinematic intensities with the Lorentz-polarization factor, no thermal factor.

Atomic structure:
Lattice parameters (Å, degrees): 6.0249 6.0658 8.5601 90.51 90.11 90.30
Sites, in units of the cell vectors:
1 Ba 0.0000 0.0000 0.0000
2 Ba 0.0022 0.9937 0.5045
3 Ba 0.5024 0.4939 0.0048
........
== So much for the data records ==

For example increased meat consumption increases prices of grains like corn used to feed livestock, but in turn increases research on corn to make corn more plentiful and adaptable, still increasing mono-crop production, reducing diversity in our farms and food systems, increasing pesticide use, therefore more need for research, just to increase animals for meat consumption, which increases pollution in our drinking water, and antibiotics in our water, having diverse and adverse effects on us all...........................and it goes on.

# The page is interrupted by calculated crystals
=====
For Cu2Te2AuF2, a PBE-relaxed structure gives the computed powder XRD pattern in this record (a wavelength of 1.5418 Å).

Crystal structure
```
data_Cu2Te2AuF2
_chemical_formula_sum 'Cu2 Te2 Au1 F2'
_symmetry_space_group_name_H-M 'P 1'
_symmetry_Int_Tables_number 1
_cell_length_a 3.5270
_cell_length_b 3.5270
_cell_length_c 9.6521
_cell_angle_alpha 90.00
_cell_angle_beta 90.00
_cell_angle_gamma 90.00
loop_
_symmetry_equiv_pos_as_xyz
'x,y,z'
loop_
_atom_site_label
_atom_site_fract_x
_atom_site_fract_y
_atom_site_fract_z
_atom_site_occupancy
Cu1 0.0000 0.5000 0.1306 1
Cu2 0.5000 0.0000 0.8694 1
Te1 0.0000 0.5000 0.7221 1
Te2 0.5000 0.0000 0.2779 1
Au1 0.0000 0.0000 0.5000 1
F1 0.0000 0.0000 0.0000 1
F2 0.5000 0.5000 0.0000 1
```

Most intense lines, 2θ from 15° to 90°, in order of falling intensity:
2θ (°)	I/Imax
40.7	100
31.4	79
26.9	77
37.9	69
51.8	41
37.2	37
25.3	30
66.0	27
45.5	23
61.9	22

~~~~~

Structure and simulated PXRD pattern of Li2CrO4 (a DFT-relaxed cell (GGA+U, the Materials Project); a wavelength of 1.5418 Å).
Peak positions follow from Bragg's law for the DFT cell and can differ from measured ones.

Largest 6 diffraction maxima, low angle first, 2θ = 10–80°:
d_spacing, 2θ/deg, intensity, h k l
4.377, 20.29, 100, 0 2 1
4.230, 21.00, 95, 1 0 -2
4.028, 22.07, 60, 1 0 2
3.850, 23.10, 62, 1 2 -1
3.770, 23.60, 44, 1 2 1
3.321, 26.85, 41, 2 1 1

Crystal structure
```
data_Li2CrO4
_chemical_formula_sum 'Li16 Cr8 O32'
_cell_length_a 7.745
_cell_length_b 9.795
_cell_length_c 9.769
_cell_angle_alpha 90.00
_cell_angle_beta 93.11
_cell_angle_gamma 90.00
_symmetry_space_group_name_H-M 'P 1'
_symmetry_Int_Tables_number 1
_symmetry_space_group_name_Hall 'P 1'
loop_
_atom_site_label
_atom_site_fract_x
_atom_site_fract_y
_atom_site_fract_z
_atom_site_occupancy
Li1 0.000 0.094 0.000 1
Li2 0.000 0.906 0.500 1
Li3 0.364 0.095 0.199 1
Li4 0.364 0.905 0.699 1
Li5 0.376 0.342 0.926 1
Li6 0.376 0.658 0.426 1
Li7 0.584 0.396 0.710 1
Li8 0.584 0.604 0.210 1
Li9 0.612 0.372 0.438 1
Li10 0.612 0.628 0.938 1
Li11 0.661 0.121 0.784 1
Li12 0.661 0.879 0.284 1
Li13 0.934 0.117 0.251 1
Li14 0.934 0.883 0.751 1
Li15 0.960 0.391 0.265 1
Li16 0.960 0.609 0.765 1
Cr1 0.087 0.135 0.720 1
Cr2 0.087 0.865 0.220 1
Cr3 0.305 0.379 0.218 1
Cr4 0.305 0.621 0.718 1
Cr5 0.653 0.115 0.468 1
Cr6 0.653 0.885 0.968 1
Cr7 0.791 0.374 0.983 1
Cr8 0.791 0.626 0.483 1
O1 0.020 0.246 0.609 1
O2 0.020 0.754 0.109 1
O3 0.150 0.012 0.143 1
O4 0.150 0.988 0.643 1
O5 0.173 0.288 0.309 1
O6 0.173 0.712 0.809 1
O7 0.192 0.482 0.118 1
O8 0.192 0.518 0.618 1
O9 0.241 0.199 0.825 1
O10 0.241 0.801 0.325 1
O11 0.413 0.272 0.120 1
O12 0.413 0.728 0.620 1
O13 0.447 0.475 0.321 1
O14 0.447 0.525 0.821 1
O15 0.516 0.034 0.356 1
O16 0.516 0.966 0.856 1
O17 0.555 0.218 0.577 1
O18 0.555 0.782 0.077 1
O19 0.638 0.292 0.885 1
O20 0.638 0.708 0.385 1
O21 0.697 0.494 0.075 1
O22 0.697 0.506 0.575 1
O23 0.765 0.001 0.057 1
O24 0.765 0.999 0.557 1
O25 0.773 0.218 0.375 1
O26 0.773 0.782 0.875 1
=====

Its actually a beautiful thing in my mind rather than a dooms day thing, because we actually have the power to make changes, just by changing how and where we eat and get our food from. So tomorrow if you are gonna buy some meat to eat, try getting it from your local farmer or look for food that is fairly traded, and yes, even organic you skeptics, I say organic is better than not, even if it is a muddy water concept. Change one item at a time. See how it changes the way you think, know that you are supporting a healthier world for today, and for your children to come.

Check this discussion on IFPRI.INFO called "Meat Matters" about why meat matters and some of the research too back it up.

Monday, June 25, 2012

When Diet is Wrong, Medicine is of No Use; When Diet is Correct Medicine is of No Need.

What comes next are calculated crystals, not part of the entry.
********
1.
This entry pairs a crystal structure of Ag3TeCl2F6 with its computed powder X-ray diffraction pattern. Radiation: copper Kα. Structure: a cell relaxed with PBE.
Kinematic intensities with the Lorentz-polarization factor, no thermal factor.

Top 10 peaks for 2θ = 10–80°, low angle first:
d [Å]	I (rel.)
4.921	48
3.965	100
3.796	44
3.504	67
3.149	80
2.999	36
2.600	55
1.982	46
1.947	45
1.899	51

Structural model:
```
data_Ag3TeCl2F6
_chemical_formula_sum 'Ag6 Te2 Cl4 F12'
_cell_length_a 14.087
_cell_length_b 7.050
_cell_length_c 4.946
_cell_angle_alpha 90.00
_cell_angle_beta 95.72
_cell_angle_gamma 90.00
_space_group_name_H-M_alt 'C 1 2/m 1'
_space_group_IT_number 12
loop_
_space_group_symop_operation_xyz
'x,y,z'
'-x,-y,-z'
'-x,y,-z'
'x,-y,z'
'x+1/2,y+1/2,z'
'-x+1/2,-y+1/2,-z'
'-x+1/2,y+1/2,-z'
'x+1/2,-y+1/2,z'
loop_
_atom_site_label
_atom_site_type_symbol
_atom_site_fract_x
_atom_site_fract_y
_atom_site_fract_z
Ag1 Ag 0.000 0.000 0.000
Ag2 Ag 0.250 0.250 0.500
Te1 Te 0.000 0.500 0.500
Cl1 Cl 0.177 0.000 0.199
F1 F 0.057 0.293 0.744
F2 F 0.120 0.500 0.311
```

---

2.
This entry pairs a crystal structure of NaCd2Sn4 with its computed powder X-ray diffraction pattern. Radiation: copper Kα. Structure: a cell relaxed with PBE.
Kinematic intensities with the Lorentz-polarization factor, no thermal factor.

Top 10 peaks for 2θ = 10–80°, low angle first:
d [Å]	I (rel.)
8.417	49
4.782	20
2.975	100
2.493	38
2.469	37
2.429	98
1.754	26
1.427	19
1.418	19
1.215	20

Structural model:
```
data_NaCd2Sn4
_chemical_formula_sum 'Na2 Cd4 Sn8'
_cell_length_a 4.987
_cell_length_b 16.833
_cell_length_c 4.938
_cell_angle_alpha 90.00
_cell_angle_beta 90.00
_cell_angle_gamma 90.00
_space_group_name_H-M_alt 'C m m m'
_space_group_IT_number 65
_space_group_name_Hall '-C 2 2'
loop_
_atom_site_label
_atom_site_type_symbol
_atom_site_fract_x
_atom_site_fract_y
_atom_site_fract_z
Na1 Na 0.000 0.000 0.000
Cd1 Cd 0.000 0.418 0.500
Sn1 Sn 0.000 0.185 0.500
Sn2 Sn 0.000 0.308 0.000
```

---

3.
This entry pairs a crystal structure of HoNp2Te5 with its computed powder X-ray diffraction pattern. Radiation: copper Kα. Structure: a cell relaxed with PBE.
Kinematic intensities with the Lorentz-polarization factor, no thermal factor.

Top 10 peaks for 2θ = 10–80°, low angle first:
d [Å]	I (rel.)
7.404	19
3.743	57
3.311	23
3.045	100
2.677	35
2.618	59
2.145	20
1.872	44
1.582	21
1.522	20

Structural model:
```
data_HoNp2Te5
_chemical_formula_sum 'Ho1 Np2 Te5'
_cell_length_a 7.404
_cell_length_b 7.404
_cell_length_c 5.354
_cell_angle_alpha 90.00
_cell_angle_beta 90.00
_cell_angle_gamma 90.00
_space_group_name_H-M_alt 'P 4/m m m'
_space_group_IT_number 123
_space_group_name_Hall '-P 4 2'
loop_
_atom_site_label
_atom_site_type_symbol
_atom_site_fract_x
_atom_site_fract_y
_atom_site_fract_z
Ho1 Ho 0.000 0.000 0.000
Np1 Np 0.000 0.500 0.500
Te1 Te 0.000 0.000 0.500
Te2 Te 0.281 0.281 0.000
```

---

Question: Which formula does entry 2 have?
Answer: NaCd2Sn4

---
********

This old Ayurvedic proverb got me thinking today. How is it that we have gotten so far from our food, that even our medicine has too. Synthetic medicine, synthetic food, it plagues us in ways we don't see or taste. We have allowed our purchasing power to guide this, in an unintentional yet intentional way. Its very unfortunate, for us, and for our food as well. But its no doomsday, we can recover, we can change. And when we decide to make that change to eating in more healthful ways, we can often see results immediately. I love that about our bodies, we have the capacity to be amazing healers right inside of us. We do not need to seek help from without, our bodies have evolved for thousands of years to assist us in healing our ailments, food as evolved much in the same way to benefit us in that process. Check out this amazing New York Times article on how we are learning about our bodies capacity to heal. Tending the Body’s Microbial Garden.

So celebrate your body and the food we have all around us. I am going to make a Wild Clover Salad today and enjoy the benefits of this common 'weed' that is crazy tasty and super good for you!

Thursday, June 21, 2012

So Excited for Zucchini!!!!

The zucchini in my garden are flowering right now! I am trying to be patient, but I am so excited I need to try this recipe with my home-grown zucchini. I can't wait.

Zucchini Fritters with Feta

1 lb zucchini, grated
1/2 tsp salt
1 shallot, thinly sliced
1 garlic clove, minced
6 small shiitake mushrooms, chopped 
2 eggs
1tbsp chopped fresh mint
150g feta, crumbled
5 tbsp homemade bread crumbs, I like to use a pepper bread or pepper crackers for this
freshly grated black pepper
olive oil for frying

Put the grated zucchini in a colander, sprinkle with salt, mix and let stand for 20-30 minutes. Squeeze out any excess liquid, this makes them crispier in the end. You can however squeeze the water out right away and start the process, it just may not turn out as good, either way though its mouthwatering! 
In a medium bowl, combine the zucchini, mushroom, shallot, garlic, eggs, mint, feta and freshly toasted and crushed pepper bread. Season with salt and pepper.

Heat the oil in a pan over a medium heat. Form patties to your liking, and put into the pan. Cook for 3-4 minutes on each side. Transfer cooked patties on a paper towel to drain excess oil from them.